I loved Bash, more than anything else. But our first kiss, my first kiss, had done absolutely nothing.
At first, I thought it might be just because he was a man, but I tried my hand at dating women too, at Bash’s insistence, and after the fifth time I came home after the first date, I’d finally put my foot down to my then roommate. It was too much time wasted not studying or spending time with my best friend.
But yesterday, everything I thought I knew about myself changed.
Summer was it for me.
I couldn’t explain how I knew. I just knew. It was a feeling, one that was objective and subjective at the same time, and the thought kept spinning around in my head all morning that I’d barely been able to get any work done.
Honestly, I was impressed with myself that I managed to function normally yesterday. Thankfully, I had my pack around me, and I could focus on Theo and her.
They were both mine. Without an ounce of doubt, they were mine.
And for the first time in my life I wanted someone. Two someones, yes. But Iwanted, Summer.
I was surprised she didn’t catch me staring at her yesterday when I was counting the eight freckles that fell across her nose or the two tones of blue, one sapphire and the other a light topaz, that made up her gorgeous iris.
I had heard my mum speak about finding her mates when I was younger, but I thought it was a pipe dream, a fairy tale. But apparently, there was still a bit of luck in the world that had blessed me with this fate.
I didn’t know her scent, but I didn’t need to. I already knew what it would tell me.
Of course, I had immediately told Cole, and you know what he did? He smiled. My alpha smiled and put an arm around my shoulder and wished me the best. He’d told me that Summer would be lucky to have a beta like me, and then he told me her favorite type of candy, which I’d promptly picked up this morning at the corner store on our walk to work.
“Are you going to keep staring at the monitor all day, or are you going to call her?” Miller asked from the doorway, shaking me out of my musings.
“Do you think she wants to hear from me?”
Miller gave me a patient look, his brow furrowing the way it did when he was struggling to maintain his expression.
“Someone needs to call her about her quote. I can do it, but I think she’ll have an easier time accepting it if it comes from you. I’m going with Dean to look at a ride he wants to restore. Do you have this?”
I blew out a breath, counting backward from five in my head.
“I’ve got it,” I reassured him. “I’ll take care of her. Go with Dean.”
“I know you will,” he said, slapping a hand on the door frame before heading out.
Before I could overthink anything else, I picked up the phone and rang Summer.
“Morning, Miles,” she answered, my name on her lips easing my shoulders already.
“Good morning,” I said, noticing the background noise. “Is now a good time?”
“Sure, I’m just at the park with Theo, but he’s on a mission to make sure each of his trucks gets a fair number of turns down the slide.”
“Miller has your estimate ready. I can bring it by today to review if that works? We’ll need you to sign off on the repairs before we start.”
I knew the guys wanted to completely overhaul the car, but they wouldn’t start radically changing her property without her approval.
“Oh, I can just stop by after this if you don’t mind me bringing Theo with me?” she asked. “No need for you to make a separate trip when I’m already out and close.”
“You won’t find a single one of us in the shop who wouldn’t want to see both of you.”
A small laugh spilled from her lips. “I’ll see you in a few, Miles.”
Knowing that she was on her way, I managed to get the numbers done for one of the franchise shops upstate and had moved on to trying to figure out the error with the appointment reservation form on the website by the time she knocked on my door.
'''
No. 1
This record from the Open Molecules 2025 dataset describes a structure of composition C35H46N6O2P2PdS. The level of theory is ωB97M-V with the def2-TZVPD basis set.

Computed properties:
Kohn-Sham gap   7.35 eV
Largest force on an atom   0.2 eV/A
ΔE to the lowest compared entry with this formula, charge and spin   0.8 kcal per mole
Molecular weight   783.23 g/mol
Calculated total energy   -82960.7151 eV
Net charge   +2

CARTESIAN COORDINATES (ANGSTROEM)
Pd -0.6167 0.0506 -1.2956
C 2.2597 -2.6242 0.4993
C 1.6078 -2.4310 -0.8662
P 1.4339 -0.7236 -1.4890
C 0.3886 -0.9578 -3.0070
C -0.2858 -2.1215 -3.4443
C -1.2083 -2.0479 -4.4563
C -1.5535 -0.8125 -5.0274
C -0.9540 0.3427 -4.5925
C 0.0234 0.2805 -3.5823
C 2.8915 -0.0015 -2.2695
C 3.6217 -0.7889 -3.1581
C 4.7321 -0.2598 -3.7968
C 5.0916 1.0639 -3.5810
C 4.3464 1.8590 -2.7214
C 3.2550 1.3221 -2.0577
C 1.8008 -1.5785 1.5284
P 2.2775 0.0350 0.8498
C 1.4699 1.3754 1.7598
C 1.0037 2.4946 1.0784
C 0.4660 3.5652 1.7778
C 0.3730 3.5100 3.1618
C 0.8263 2.3896 3.8454
C 1.3831 1.3288 3.1475
C 4.0335 0.2848 1.2319
C 4.8454 -0.7184 1.7588
C 6.1873 -0.4723 2.0129
C 6.7304 0.7744 1.7452
C 5.9258 1.7836 1.2333
C 4.5868 1.5413 0.9794
H 3.3428 -2.5948 0.3838
H 2.0143 -3.6245 0.8588
H 0.5715 -2.7855 -0.8367
H 2.1324 -3.0025 -1.6355
H -0.0601 -3.0793 -2.9961
H -1.6806 -2.9523 -4.8164
H -2.2859 -0.7774 -5.8232
H -1.1983 1.2955 -5.0431
H 0.6110 1.1686 -3.3689
H 3.3271 -1.8130 -3.3569
H 5.3111 -0.8773 -4.4700
H 5.9537 1.4769 -4.0873
H 4.6214 2.8930 -2.5612
H 2.6843 1.9371 -1.3716
H 2.2271 -1.7670 2.5143
H 0.7115 -1.5660 1.6162
H 1.0508 2.5327 -0.0042
H 0.1331 4.4463 1.2429
H -0.0323 4.3502 3.7114
H 0.7663 2.3493 4.9250
H 1.7544 0.4683 3.6908
H 4.4445 -1.6929 1.9991
H 6.8056 -1.2567 2.4283
H 7.7764 0.9642 1.9450
H 6.3413 2.7634 1.0392
H 3.9655 2.3446 0.6008
N -2.7681 0.4495 -1.2559
C -3.2809 0.2249 0.1189
C -4.4646 1.1162 0.4934
C -4.2416 2.6331 0.4893
C -3.2080 3.1468 1.4931
N -3.4363 2.6690 2.8506
C -4.1840 3.2393 3.7698
N -4.2890 2.6669 4.9753
N -4.8320 4.3874 3.5440
C -2.1410 0.2216 1.1510
O -2.4422 0.2505 2.3472
O -0.9394 0.1504 0.7275
H -2.9311 1.4075 -1.5508
H -3.2639 -0.1496 -1.9091
H -3.6375 -0.8079 0.1469
H -4.8066 0.7990 1.4794
H -5.2822 0.8947 -0.1963
H -5.2087 3.1034 0.6873
H -3.9474 2.9934 -0.5017
H -3.1623 4.2375 1.4856
H -2.2038 2.8111 1.2294
H -3.0820 1.7120 2.9949
H -3.7915 1.8154 5.1738
H -4.9542 2.9923 5.6540
H -4.8193 4.8202 2.6387
H -5.2924 4.8787 4.2898
C -3.4936 -6.7126 -1.6481
N -3.2323 -5.2840 -1.6108
C -2.5256 -4.6583 -0.6677
N -1.9602 -5.4198 0.2855
S -2.3219 -2.9772 -0.6744
H -4.0805 -6.9345 -2.5340
H -4.0636 -7.0376 -0.7750
H -2.5636 -7.2804 -1.7093
H -3.6610 -4.6840 -2.2936
H -2.1788 -6.3965 0.3887
H -1.5405 -4.9433 1.0637

=====

No. 2
This record from the Open Molecules 2025 dataset describes a structure of composition C35H46N6O3P2Pt. The level of theory is ωB97M-V with the def2-TZVPD basis set.

Computed properties:
Kohn-Sham gap (alpha / beta)   7.60 / 5.25 eV
'''
“Is it alright if I come in?”